# Request
The reader should return the rows further down unchanged.

# Input
+++
Entry 1:
For Nd5Sn15Rh8, DFT lattice parameters and positions (GGA-PBE) gives the calculated powder diffraction line list in this record (CuKα).
Lines closer than 0.1° are merged.

Top 10 peaks for 2θ = 10–90°, low angle first:
2θ 32.95, rel. 100; 2θ 33.41, rel. 67; 2θ 34.94, rel. 20; 2θ 35.69, rel. 29; 2θ 39.66, rel. 17; 2θ 40.02, rel. 47; 2θ 43.03, rel. 21; 2θ 54.69, rel. 17; 2θ 62.95, rel. 15; 2θ 68.23, rel. 13

Atomic structure:
Unit cell a=7.318 b=4.506 c=18.753 alpha=90.00 beta=90.13 gamma=90.00
Sites, in units of the cell vectors:
Nd: 0.000 0.000 0.000
Nd: 0.000 0.500 0.284
Nd: 0.500 0.000 0.498
Nd: 0.502 0.500 0.785
Nd: 0.995 0.500 0.711
Sn: 0.012 0.000 0.574
Sn: 0.134 0.000 0.173
Sn: 0.200 0.500 0.455
Sn: 0.219 0.000 0.835
Sn: 0.282 0.000 0.335
Sn: 0.304 0.500 0.962
Sn: 0.354 0.000 0.671
Sn: 0.481 0.000 0.074
Sn: 0.523 0.500 0.208
Sn: 0.632 0.500 0.609
Sn: 0.702 0.000 0.323
Sn: 0.718 0.500 0.948
Sn: 0.778 0.500 0.447
Sn: 0.804 0.000 0.823
Sn: 0.869 0.500 0.110
Rh: 0.019 0.500 0.867
Rh: 0.252 0.500 0.108
Rh: 0.263 0.500 0.595
Rh: 0.489 0.500 0.351
Rh: 0.518 0.000 0.926
Rh: 0.729 0.000 0.676
Rh: 0.751 0.000 0.176
Rh: 0.985 0.000 0.427



Entry 2:
For NdSn5Rh3, DFT lattice parameters and positions (GGA-PBE) gives the calculated powder diffraction line list in this record (CuKα).
Lines closer than 0.1° are merged.

Top 10 peaks for 2θ = 10–90°, low angle first:
2θ 19.27, rel. 26; 2θ 19.41, rel. 34; 2θ 27.48, rel. 23; 2θ 31.37, rel. 35; 2θ 31.50, rel. 100; 2θ 39.10, rel. 30; 2θ 39.40, rel. 32; 2θ 39.81, rel. 33; 2θ 49.09, rel. 25; 2θ 51.17, rel. 22

Atomic structure:
Unit cell a=7.441 b=7.441 c=9.889 alpha=113.55 beta=113.55 gamma=75.86
Sites, in units of the cell vectors:
Nd: 0.099 0.099 0.306
Nd: 0.901 0.901 0.694
Sn: 0.060 0.617 0.344
Sn: 0.243 0.243 0.041
Sn: 0.301 0.699 0.000
Sn: 0.383 0.940 0.656
Sn: 0.415 0.415 0.647
Sn: 0.585 0.585 0.353
Sn: 0.617 0.060 0.344
Sn: 0.699 0.301 0.000
Sn: 0.757 0.757 0.959
Sn: 0.940 0.383 0.656
Rh: 0.000 0.000 0.000
Rh: 0.000 0.000 0.500
Rh: 0.307 0.307 0.823
Rh: 0.362 0.362 0.348
Rh: 0.638 0.638 0.652
Rh: 0.693 0.693 0.177



Entry 3:
For NdSn8Rh4, DFT lattice parameters and positions (GGA-PBE) gives the calculated powder diffraction line list in this record (CuKα).
Lines closer than 0.1° are merged.

Top 10 peaks for 2θ = 10–90°, low angle first:
2θ 18.94, rel. 6; 2θ 23.25, rel. 9; 2θ 26.92, rel. 8; 2θ 30.16, rel. 8; 2θ 38.43, rel. 100; 2θ 45.40, rel. 4; 2θ 55.48, rel. 17; 2θ 57.34, rel. 4; 2θ 69.51, rel. 34; 2θ 82.33, rel. 10

Atomic structure:
Unit cell a=6.625 b=6.625 c=6.625 alpha=90.00 beta=90.00 gamma=90.00
+++

# Worked solution
Entry 1:
For Nd5Sn15Rh8, DFT lattice parameters and positions (GGA-PBE) gives the calculated powder diffraction line list in this record (CuKα).
Lines closer than 0.1° are merged.

Top 10 peaks for 2θ = 10–90°, low angle first:
2θ 32.95, rel. 100; 2θ 33.41, rel. 67; 2θ 34.94, rel. 20; 2θ 35.69, rel. 29; 2θ 39.66, rel. 17; 2θ 40.02, rel. 47; 2θ 43.03, rel. 21; 2θ 54.69, rel. 17; 2θ 62.95, rel. 15; 2θ 68.23, rel. 13

Atomic structure:
Unit cell a=7.318 b=4.506 c=18.753 alpha=90.00 beta=90.13 gamma=90.00
Sites, in units of the cell vectors:
Nd: 0.000 0.000 0.000
Nd: 0.000 0.500 0.284
Nd: 0.500 0.000 0.498
Nd: 0.502 0.500 0.785
Nd: 0.995 0.500 0.711
Sn: 0.012 0.000 0.574
Sn: 0.134 0.000 0.173
Sn: 0.200 0.500 0.455
Sn: 0.219 0.000 0.835
Sn: 0.282 0.000 0.335
Sn: 0.304 0.500 0.962
Sn: 0.354 0.000 0.671
Sn: 0.481 0.000 0.074
Sn: 0.523 0.500 0.208
Sn: 0.632 0.500 0.609
Sn: 0.702 0.000 0.323
Sn: 0.718 0.500 0.948
Sn: 0.778 0.500 0.447
Sn: 0.804 0.000 0.823
Sn: 0.869 0.500 0.110
Rh: 0.019 0.500 0.867
Rh: 0.252 0.500 0.108
Rh: 0.263 0.500 0.595
Rh: 0.489 0.500 0.351
Rh: 0.518 0.000 0.926
Rh: 0.729 0.000 0.676
Rh: 0.751 0.000 0.176
Rh: 0.985 0.000 0.427



Entry 2:
For NdSn5Rh3, DFT lattice parameters and positions (GGA-PBE) gives the calculated powder diffraction line list in this record (CuKα).
Lines closer than 0.1° are merged.

Top 10 peaks for 2θ = 10–90°, low angle first:
2θ 19.27, rel. 26; 2θ 19.41, rel. 34; 2θ 27.48, rel. 23; 2θ 31.37, rel. 35; 2θ 31.50, rel. 100; 2θ 39.10, rel. 30; 2θ 39.40, rel. 32; 2θ 39.81, rel. 33; 2θ 49.09, rel. 25; 2θ 51.17, rel. 22

Atomic structure:
Unit cell a=7.441 b=7.441 c=9.889 alpha=113.55 beta=113.55 gamma=75.86
Sites, in units of the cell vectors:
Nd: 0.099 0.099 0.306
Nd: 0.901 0.901 0.694
Sn: 0.060 0.617 0.344
Sn: 0.243 0.243 0.041
Sn: 0.301 0.699 0.000
Sn: 0.383 0.940 0.656
Sn: 0.415 0.415 0.647
Sn: 0.585 0.585 0.353
Sn: 0.617 0.060 0.344
Sn: 0.699 0.301 0.000
Sn: 0.757 0.757 0.959
Sn: 0.940 0.383 0.656
Rh: 0.000 0.000 0.000
Rh: 0.000 0.000 0.500
Rh: 0.307 0.307 0.823
Rh: 0.362 0.362 0.348
Rh: 0.638 0.638 0.652
Rh: 0.693 0.693 0.177



Entry 3:
For NdSn8Rh4, DFT lattice parameters and positions (GGA-PBE) gives the calculated powder diffraction line list in this record (CuKα).
Lines closer than 0.1° are merged.

Top 10 peaks for 2θ = 10–90°, low angle first:
2θ 18.94, rel. 6; 2θ 23.25, rel. 9; 2θ 26.92, rel. 8; 2θ 30.16, rel. 8; 2θ 38.43, rel. 100; 2θ 45.40, rel. 4; 2θ 55.48, rel. 17; 2θ 57.34, rel. 4; 2θ 69.51, rel. 34; 2θ 82.33, rel. 10

Atomic structure:
Unit cell a=6.625 b=6.625 c=6.625 alpha=90.00 beta=90.00 gamma=90.00